Wednesday 2 March 2011

The piece is interrupted by calculated crystals >
KMgFeP2O8: optimized geometry, PBE+U.

The structure in CIF format:
```
data_KMgFeP2O8
_symmetry_space_group_name_H-M 'P 1 21/c 1'
_symmetry_Int_Tables_number 14
_cell_length_a 5.241
_cell_length_b 14.672
_cell_length_c 9.325
_cell_angle_alpha 90.00
_cell_angle_beta 105.03
_cell_angle_gamma 90.00
loop_
_symmetry_equiv_pos_as_xyz
'x,y,z'
'-x,-y,-z'
'-x,y+1/2,-z+1/2'
'x,-y+1/2,z+1/2'
loop_
_atom_site_label
_atom_site_type_symbol
_atom_site_fract_x
_atom_site_fract_y
_atom_site_fract_z
K1 K 0.176 0.177 0.320
Mg1 Mg 0.241 0.049 0.967
Fe1 Fe 0.227 0.628 0.883
P1 P 0.256 0.673 0.537
P2 P 0.310 0.007 0.681
O1 O 0.061 0.048 0.724
O2 O 0.088 0.587 0.471
O3 O 0.115 0.744 0.945
O4 O 0.229 0.581 0.089
O5 O 0.234 0.689 0.698
O6 O 0.418 0.078 0.589
O7 O 0.454 0.166 0.969
O8 O 0.499 0.013 0.167
```

## Properties
The calculation puts the total magnetic moment at 20.00 μB/cell. As for the energy relative to the elements: -2.669 eV/atom.

Li9Mn2Co5O16: optimized geometry, PBE+U.

The structure in CIF format:
```
data_Li9Mn2Co5O16
_symmetry_space_group_name_H-M 'C 1 m 1'
_symmetry_Int_Tables_number 8
_cell_length_a 15.256
_cell_length_b 2.881
_cell_length_c 13.121
_cell_angle_alpha 90.00
_cell_angle_beta 93.31
_cell_angle_gamma 90.00
loop_
_symmetry_equiv_pos_as_xyz
'x,y,z'
'x,-y,z'
'x+1/2,y+1/2,z'
'x+1/2,-y+1/2,z'
loop_
_atom_site_label
_atom_site_type_symbol
_atom_site_fract_x
_atom_site_fract_y
_atom_site_fract_z
Li1 Li 0.000 0.000 0.000
Li2 Li 0.001 0.500 0.480
Li3 Li 0.066 0.500 0.176
Li4 Li 0.125 0.500 0.867
Li5 Li 0.128 0.000 0.353
Li6 Li 0.246 0.500 0.237
Li7 Li 0.253 0.000 0.735
Li8 Li 0.376 0.500 0.610
Li9 Li 0.378 0.000 0.116
Mn1 Mn 0.064 0.000 0.674
Mn2 Mn 0.185 0.000 0.059
Co1 Co 0.190 0.500 0.542
Co2 Co 0.313 0.500 0.929
Co3 Co 0.319 0.000 0.424
Co4 Co 0.436 0.000 0.805
Co5 Co 0.446 0.500 0.284
O1 O 0.021 0.000 0.830
O2 O 0.024 0.500 0.327
O3 O 0.102 0.000 0.519
O4 O 0.105 0.500 0.020
O5 O 0.151 0.500 0.703
O6 O 0.160 0.000 0.193
O7 O 0.226 0.500 0.396
O8 O 0.227 0.000 0.908
O9 O 0.271 0.500 0.081
O10 O 0.277 0.000 0.577
O11 O 0.353 0.500 0.775
O12 O 0.357 0.000 0.277
O13 O 0.396 0.000 0.956
O14 O 0.402 0.500 0.456
O15 O 0.466 0.500 0.149
O16 O 0.479 0.000 0.647
```

## Properties
The calculation puts the total magnetic moment at 24.00 μB/cell. As for the energy relative to the elements: -1.789 eV/atom.

Li6V3P8O29: optimized geometry, PBE+U.

The structure in CIF format:
```
data_Li6V3P8O29
_symmetry_space_group_name_H-M 'P 1'
_symmetry_Int_Tables_number 1
_cell_length_a 9.790
_cell_length_b 9.816
_cell_length_c 13.973
_cell_angle_alpha 89.83
_cell_angle_beta 89.86
_cell_angle_gamma 60.66
loop_
_symmetry_equiv_pos_as_xyz
'x,y,z'
loop_
_atom_site_label
_atom_site_type_symbol
_atom_site_fract_x
_atom_site_fract_y
_atom_site_fract_z
Li1 Li 0.000 0.000 0.000
Li2 Li 0.002 0.432 0.551
Li3 Li 0.341 0.190 0.879
Li4 Li 0.431 0.438 0.002
Li5 Li 0.442 0.012 0.497
Li6 Li 0.568 0.423 0.498
Li7 Li 0.661 0.100 0.945
Li8 Li 0.750 0.786 0.373

Photo shoot pictures and analysis

The models I  have used for my magazine is Connor Hodgins and Faran Parker, They were very Kean to be part of my Magazine and was very enthusiastic and natural at playing the instruments as they are both part of bands and play at gigs and venue across Yorkshire on a regular basis. The setting for this photoshoot was at a professional recording studio in the centre of town. These are the shots that I took on the photo shoot and I will be choosing which pictures I will choose and what photos I will not choose and give a reason why and were they will be placed in my magazine.

                                                                      Photo 1

This photo is not a very good photo to use in a main shot for example my front cover because people would not be able to see the artists face. The staging is very good because of the drums being in the for ground. The lighting is bright and you can tell that he is playing the instrument. This photo would not be good for my magazine because there would be no room to fit any information in. Also the photo is squeezed.

                                                                     Photo 2

This photo would be a good photo to use for a double page spread. This is because it is a wide shot. It would not be good because of the obstructions in this shot for example the microphones are obstructing the drums. Also this shot is a bad rule of 3rd because the at both sides there is unwanted space and also it is to far away from the camera it would of been better with more of a close up and zoom. Even though this photo would be used as a double page spread because of its side i would not use it because of the problems in it.

                                                                      Photo 3

This photo is an action shot because of the movement seen in the picture. Connors face is blurred because i wanted to capture a shot where it looks like he is moving. I asked him to play the drums but also move his head from side to side quickly to give the affect of him moving and playing at a fast pace.This photo would not be good for my magazine because of the obstructions in the way for example the three microphones in the front of the shot.

                                                                  Photo 4

This photo would not be used in my magazine for the pure reason that it is too blared and too blared. Photo's like this helped me learn how not to do it. so it was a learning curve for me in taking photo's learning the rights and wrongs.

photo 5

The shot in this photo was really good it was just the camera was to high up so half the shot was of the wall. If Connor was looking at the camera at the time and it was a still it would of been a great photo for me to make as my front cover because the mast head and other information would of been able to have fit in the top of the photo.

Photo 6

  This photo is positioned wrong and also has obstructions and props that should not be in this shot.

Photo 7

This photo is really well positioned and also is a good face shot. I am going to use this as my front cover because it has room for the masthead and also information. It also has two pieces of musical instruments in the shot these being a guitar and the drums. This may give the perception that he may and can play two different musical instruments. Also the lighting is nice and bright with lots of vidid colours which all contrast really nicely.

Photo 8

This photo is going to be my choice for my music magazines content page. It is split up into two different parts, One being the piano and the top of the piano and the other being the shot of Connor. This will be really good because i will be able to put the page numbers on the left hand side and other bits of information on the top. It will all fit in really nicely.

Photo 9

This photo is going to be used as my double page spread because it would fit perfect. The photo is also laid out well with the mixxing deck on the table. One thing i want to make clear about my magazine is that it is for independent artists so this will look good and show he works with all things even the digital side of his music. There will also be lots of room to put a mast head and when i split it in two half will be information and writing whilst the other half will just have the picture on.

Photo- 10

This photo is a good photo to use for a little photo in lets say my contents page. It is bleary and also i would be able to crop it so then it is just Connor and the microphone in the shot.

Photo 11This is a photo of my artist Faran, She is a lead Guitarist in a band, For this photo I would like to use it on my contents page, I want Connor to be the main artist in my magazine but I would like to have another artist in the magazine so on the contents page it will have Faran in it so then it looks like Faran will also appear in the magazine. This photo sees Faran holding a Guitar and it is a high angle shot but the guitar is higher showing that music is more important to the artist. I will be using this shot because I will be able to work well with the photo.

Photo 12

This photo shows Faran playing the drums, I don't believe this shot is of a high standard so it will not be appearing in my magazine, She does not seem to fit well behind the sets of drums and she personally said she feels more comfortable with a guitar, also this photo is bleary and not of the quality they I want my magazine to have.

Tuesday 1 March 2011

Location for my shoot.

Today I will be doing my photo shoot. I have arranged for transport for my artists to be able to get into the city centre. I have hired out a professional camera from the Media department from the college. I will update this post when I have come back from the shoot.

The shoot went really well, my artists performed to a professional standard for the shoot, The studio allowed us to use to the musical instruments and let us use the digital technology facilities at the shoot. I got plenty of great shots to choose from. I also got permission to go back next year to film for my Music Video.